Sheep graze through the tall prairie grass, their bleats breaking the quiet as butterflies and insects flit through the native flowers.
Pollinator-friendly landscape takes root beneath solar panels in Minnesota
Grazing sheep help manage the vegetation at the solar sites.

The pastoral setting is not a restored prairie. It's a solar installation in rural Chisago County — one of the 16 in Minnesota run by Enel Green Power, a global renewable energy company based in Rome that supplies Xcel Energy.
In Minnesota, at least, the solar farms are generating more than electricity. Instead of turf, bare ground or gravel, the land beneath Enel's Minnesota installations were all seeded with native pollinator-friendly grasses, sedges and wildflowers. They've matured into rich native habitats for bees, insects and butterflies — in a landscape desperately short of them.
Minnesota state agencies, such as the Public Utilities Commission, Department of Natural Resources and the Board of Soil and Water Resources all encourage such plantings at solar sites as a matter of policy.
"One of the fastest growing trends in solar, nationwide, is doing better than turf grass under and around the panels," said Rob Davis, director of the Center for Pollinators in Energy at the St. Paul nonprofit Fresh Energy. That could be food or other types of vegetation.
Minnesota pioneered standards for what constitutes pollinator-friendly vegetation at solar sites — similar to standards for organic products — following legislation in 2016 to prevent greenwashing, or false environment-friendly claims, Davis said.
The Monarch Joint Venture in St. Paul is among the groups studying the results.
Laura Lukens, the group's national monitoring coordinator, has been at several Enel sites with her clipboard this summer taking inventories of the quality and abundance of flowering plants and milkweed, and the native pollinators using them. She's also tracking the difference between the habitats growing directly under the panels vs. the ones in between. Lukens said she's excited by what she's seen.
"We've been seeing great things in terms of the floral community and the pollinators using the habitat there," Lukens said. "I saw monarchs breeding at every site I visited."
On Wednesday, the air was thick with life at Enel's Chisago County site near Shafer. The black-eyed Susans were in bloom, for example, mixed in with Canada wild rye and fox sedge and other native plants.
The vegetation cools the solar panels, boosting electrical output, as the long-rooted perennials help rebuild the soil, explained Enel regional manager Jacob Fehlen, walking the rows.
The array — one of the company's smaller sites — was built on 25 acres of converted farmland, with 16,632 panels that pivot to face the sun. They generate enough megawatts to power more than 600 nearby homes, Fehlen said.
Like all of Enel's Minnesota sites, it was seeded with a native pollinator-friendly mix by Otsego-based MNL, formerly known as Minnesota Native Landscapes. MNL has taken it further, adding sheep herds to manage the vegetation at many of the sites.
They are Katahdins, a hair sheep variety that doesn't require shearing like wool sheep, said Jake Janski, MNL's director of services. The "mob grazing" replicates both prescribed fires and bison herds, controlling dead material, lowering fire hazards and stimulating new growth, he said. The manure fertilizes.
"This is the next phase of land management that we're trying to normalize so it's not this bizarre concept," Janski said. "We're trying to normalize using animals to do what animals did in nature. I'm sick of just putting Band-aids on. We're trying to fix the prairie."
Yes, the sheep draw some laughs in other states, said Enel's Fehlen. The company does it because they fit with "sustainability needs," he said. In Texas, he said, Enel is looking at possibly raising the height of its solar panels to graze cattle beneath them.
The sheep do come with a few challenges. As they sauntered around the rows of panels Wednesday, workers were repairing an electric fence that a few ornery rams had torn through.
Then there are coyotes, which sometimes scoot under the fence through the wildlife gap at the bottom. MNL sometimes brings in a mini donkey to protect the sheep from predators.
[Someone pasted calculated molecules at this point]
+++
The following is a quantum chemistry calculation of C43H46MoN5O3SiTe as an isolated structure in a non-equilibrium geometry, from OMol25.

Cartesian coordinates (Å):
Mo 1.633 -0.567 1.359
O 1.987 3.543 2.799
C 1.913 2.340 2.644
N 2.312 1.567 1.598
C 3.124 2.061 0.577
C 3.515 3.388 0.392
C 4.383 3.707 -0.640
C 4.859 2.724 -1.498
C 4.462 1.405 -1.338
C 3.590 1.080 -0.306
N 3.133 -0.229 0.005
C 3.521 -1.315 -0.746
O 3.994 -1.341 -1.866
C 3.339 -2.597 0.029
C 3.779 -3.815 -0.440
C 3.655 -4.914 0.398
C 3.112 -4.746 1.665
C 2.659 -3.495 2.041
N 2.765 -2.444 1.227
C 1.227 1.423 3.692
C 0.960 1.795 5.089
C 0.547 0.776 5.863
C 0.298 -0.597 5.423
C 0.691 -1.284 4.310
N 1.612 -0.888 3.381
H 3.145 4.146 1.064
H 4.690 4.735 -0.772
H 5.535 2.979 -2.302
H 4.807 0.646 -2.019
H 4.217 -3.863 -1.427
H 3.988 -5.890 0.072
H 3.021 -5.572 2.355
H 2.204 -3.309 3.004
H 1.106 2.803 5.448
H 0.297 0.982 6.897
H -0.351 -1.167 6.077
H 0.249 -2.248 4.096
C -1.252 2.041 3.163
C -0.083 1.151 2.892
O 2.174 0.314 3.777
N -0.005 0.386 1.905
Te 0.057 1.552 -0.784
C -0.117 2.671 -2.598
C -0.227 2.105 -3.865
C -0.099 0.628 -4.102
C -0.457 2.938 -4.958
C -0.561 4.312 -4.826
C -0.818 5.196 -6.016
C -0.397 4.860 -3.560
C -0.162 4.069 -2.442
C 0.052 4.768 -1.121
C -1.636 0.334 -1.208
C -2.910 0.899 -1.040
C -3.137 2.340 -0.669
C -4.036 0.116 -1.278
C -3.939 -1.204 -1.688
C -5.164 -2.043 -1.932
C -2.671 -1.730 -1.872
C -1.513 -0.992 -1.644
C -0.218 -1.693 -1.974
H -1.533 1.996 4.215
H -2.086 1.745 2.532
H -0.970 3.072 2.935
H 0.750 0.215 -3.554
H 0.043 0.423 -5.162
H -0.997 0.101 -3.772
H -0.548 2.491 -5.942
H -0.926 4.609 -6.927
H 0.000 5.903 -6.164
H -1.730 5.778 -5.878
H -0.436 5.937 -3.438
H 0.176 5.838 -1.283
H 0.940 4.407 -0.600
H -0.796 4.625 -0.448
H -2.382 2.714 0.023
H -4.117 2.464 -0.209
H -3.099 2.971 -1.560
H -5.016 0.560 -1.141
H -6.072 -1.446 -1.863
H -5.237 -2.849 -1.200
H -5.132 -2.503 -2.921
H -2.567 -2.751 -2.221
H -0.183 -2.663 -1.484
H 0.664 -1.127 -1.675
H -0.156 -1.856 -3.052
C -3.586 -3.351 2.048
Si -1.940 -4.197 1.822
C -2.015 -5.455 0.446
C -1.449 -5.067 3.403
C -0.672 -2.932 1.455
C 0.158 -2.048 1.322
H -4.406 -4.063 1.944
H -3.719 -2.560 1.309
H -3.656 -2.896 3.037
H -2.808 -6.180 0.639
H -1.073 -5.998 0.361
H -2.217 -4.985 -0.516
H -2.196 -5.822 3.657
H -1.386 -4.369 4.240
H -0.486 -5.569 3.306

Cartesian forces, eV/Å:
-1.08 1.45 0.88
0.06 0.08 0.08
-0.09 -0.11 0.12
0.14 -0.35 -0.14
-0.10 0.11 0.03
-0.05 0.08 -0.03
0.01 -0.06 -0.05
-0.04 0.03 0.07
0.02 0.08 -0.12
-0.11 -0.23 -0.03
0.30 -0.16 -0.24
0.13 -0.13 -0.08
-0.15 -0.01 0.31
-0.07 0.17 -0.03
0.01 -0.04 0.09
-0.02 0.04 0.01
0.00 0.05 -0.04
0.06 0.02 -0.02
0.28 -0.50 -0.10
0.01 0.08 -0.33
0.02 -0.01 0.02
-0.03 -0.05 0.03
0.03 0.08 -0.02
-0.07 0.04 -0.04
0.28 -0.21 -0.25
0.05 -0.02 -0.02
0.01 0.04 -0.01
0.01 0.02 -0.02
0.00 0.03 0.04
-0.01 -0.01 -0.01
0.02 -0.01 0.01
0.01 -0.02 -0.01
-0.02 0.00 -0.04
-0.02 0.04 0.01
0.00 -0.02 0.01
-0.01 0.00 0.01
0.00 -0.02 0.00
-0.03 -0.08 0.08
0.06 0.09 0.15
+++
The entire model is spreading among solar operators, Janski said.
"What needs to be proven is cost competitiveness over the long term," he said. "The industry is trying to vet out the long term."